# File
'''
! HfScTc (GGA-PBE, optimized geometry); values from VASP
&SYSTEM
  ibrav = 0, nat = 12, ntyp = 3
/
ATOMIC_SPECIES
Sc 44.96 Sc.upf
Hf 178.49 Hf.upf
Tc 98.00 Tc.upf
CELL_PARAMETERS angstrom
4.6766 0.0000 0.0000
0.0000 10.7875 0.0000
0.0000 0.0000 4.6886
ATOMIC_POSITIONS angstrom
Sc 2.3383 6.5390 1.1721
Sc 2.3383 4.2485 3.5164
Sc 0.0000 9.6422 3.5164
Sc 0.0000 1.1453 1.1721
Hf 0.0000 6.6146 3.5164
Hf 2.3383 9.5667 1.1721
Hf 0.0000 4.1729 1.1721
Hf 2.3383 1.2208 3.5164
Tc 2.3383 2.6985 1.1721
Tc 0.0000 2.6952 3.5164
Tc 0.0000 8.0923 1.1721
Tc 2.3383 8.0890 3.5164
! Density = 9.0 g/cm³
! E_tot = -109.8 eV for the cell shown
! Formation enthalpy at 0 K = -0.266 eV per atom
! Space-group type = No. 63
! Energy relative to the lowest polymorph listed for this composition = 0.123 kcal/mol of atoms


Density functional theory data (PBE with a Hubbard U) for an optimized crystal structure of YbCr2O2.

- space-group type = I4_1/amd (141)
- mass density (g/cm³) = 5.96
- energy (eV per atom) = -6.3947

extended XYZ file:
```
20
Lattice="-3.001 3.001 9.565 3.001 -3.001 9.565 3.001 3.001 -9.565" Properties=species:S:1:pos:R:3 pbc="T T T"
Cr 3.001 1.372 0.924
Cr 3.001 1.630 3.858
O 1.591 3.001 3.139
Yb 0.000 1.501 2.391
O 4.412 0.000 1.643
Cr 0.000 1.630 10.489
O 1.591 0.000 1.643
Cr 1.630 0.000 8.641
O 1.410 0.000 12.704
O 3.001 -1.410 7.922
Yb 0.000 4.502 2.391
Cr 0.000 1.372 13.423
O 0.000 1.410 6.426
Cr 1.372 0.000 5.706
O 3.001 1.591 -3.139
Yb -1.501 3.001 7.174
Cr 1.630 3.001 -3.858
Yb 1.501 3.001 7.174
O 3.001 1.410 7.922
Cr 1.372 3.001 -0.924
```


(1)
TiBe2Rh2 after structural relaxation. Source: the Alexandria database, functional PBE-GGA.

```
TiBe2Rh2
1.0
6.648 0.000 0.000
0.000 6.648 0.000
0.000 0.000 2.794
Ti Be Rh
2 4 4
direct
0.000 0.000 0.000
0.500 0.500 0.000
0.140 0.360 0.500
0.360 0.860 0.500
0.640 0.140 0.500
0.860 0.640 0.500
0.153 0.653 0.000
0.347 0.153 0.000
0.653 0.847 0.000
0.847 0.347 0.000
```

Results
The formation energy comes out at -2.711 eV per formula unit. The calculation puts the relative energy among the computed polymorphs at 0.114 eV per atom. Its space-group type is P4/mbm (127). The total magnetization comes out at 0.0 μB/f.u.



(2)
TiBe2Rh2 after structural relaxation. Source: the Alexandria database, functional PBE-GGA.

```
TiBe2Rh2
1.0
6.512 0.000 0.000
0.000 6.512 0.000
0.000 0.000 2.810
Ti Be Rh
2 4 4
direct
0.000 0.000 0.000
0.500 0.500 0.000
0.118 0.382 0.000
0.382 0.882 0.000
0.618 0.118 0.000
0.882 0.618 0.000
0.174 0.674 0.500
0.326 0.174 0.500
0.674 0.826 0.500
0.826 0.326 0.500
```

Results
The formation energy comes out at -3.281 eV per formula unit. The calculation puts the relative energy among the computed polymorphs at 0.000 eV per atom. Its space-group type is P4/mbm (127). The total magnetization comes out at 0.0 μB/f.u.


1.
The following is a DFT calculation (GGA-PBE) of an optimized crystal structure of PmEuYTm.

The value obtained for the formation enthalpy at 0 K is 0.59 eV per formula unit. For the electronic total energy, the calculation gives -6.3438 eV/atom.

The space group is F-43m (No. 216) and the conventional cell measures 8.155, 8.155 and 8.155 Å, with angles of 90.00, 90.00 and 90.00 degrees. The distinct sites, in fractional coordinates, are Pm at (0.000, 0.000, 0.000), Eu at (0.000, 0.000, 0.500), Y at (0.250, 0.250, 0.250) and Tm at (0.250, 0.250, 0.750).


2.
The following is a DFT calculation (GGA-PBE) of an optimized crystal structure of Al3CoBr.

Its energy relative to the elements, uncorrected is -0.1382 eV/atom. For the electronic total energy, the calculation gives -4.1395 eV/atom. The calculation puts the distance to the lowest polymorph of the same formula at 0 meV/atom.

The space group is Pm-3m (No. 221) and the conventional cell measures 4.629, 4.629 and 4.629 Å, with angles of 90.00, 90.00 and 90.00 degrees. The distinct sites, in fractional coordinates, are Al at (0.000, 0.000, 0.500), Co at (0.000, 0.000, 0.000) and Br at (0.500, 0.500, 0.500).
'''
# Activity
Copy the rows earlier on without altering anything.
# Here it is
! HfScTc (GGA-PBE, optimized geometry); values from VASP
&SYSTEM
  ibrav = 0, nat = 12, ntyp = 3
/
ATOMIC_SPECIES
Sc 44.96 Sc.upf
Hf 178.49 Hf.upf
Tc 98.00 Tc.upf
CELL_PARAMETERS angstrom
4.6766 0.0000 0.0000
0.0000 10.7875 0.0000
0.0000 0.0000 4.6886
ATOMIC_POSITIONS angstrom
Sc 2.3383 6.5390 1.1721
Sc 2.3383 4.2485 3.5164
Sc 0.0000 9.6422 3.5164
Sc 0.0000 1.1453 1.1721
Hf 0.0000 6.6146 3.5164
Hf 2.3383 9.5667 1.1721
Hf 0.0000 4.1729 1.1721
Hf 2.3383 1.2208 3.5164
Tc 2.3383 2.6985 1.1721
Tc 0.0000 2.6952 3.5164
Tc 0.0000 8.0923 1.1721
Tc 2.3383 8.0890 3.5164
! Density = 9.0 g/cm³
! E_tot = -109.8 eV for the cell shown
! Formation enthalpy at 0 K = -0.266 eV per atom
! Space-group type = No. 63
! Energy relative to the lowest polymorph listed for this composition = 0.123 kcal/mol of atoms


Density functional theory data (PBE with a Hubbard U) for an optimized crystal structure of YbCr2O2.

- space-group type = I4_1/amd (141)
- mass density (g/cm³) = 5.96
- energy (eV per atom) = -6.3947

extended XYZ file:
```
20
Lattice="-3.001 3.001 9.565 3.001 -3.001 9.565 3.001 3.001 -9.565" Properties=species:S:1:pos:R:3 pbc="T T T"
Cr 3.001 1.372 0.924
Cr 3.001 1.630 3.858
O 1.591 3.001 3.139
Yb 0.000 1.501 2.391
O 4.412 0.000 1.643
Cr 0.000 1.630 10.489
O 1.591 0.000 1.643
Cr 1.630 0.000 8.641
O 1.410 0.000 12.704
O 3.001 -1.410 7.922
Yb 0.000 4.502 2.391
Cr 0.000 1.372 13.423
O 0.000 1.410 6.426
Cr 1.372 0.000 5.706
O 3.001 1.591 -3.139
Yb -1.501 3.001 7.174
Cr 1.630 3.001 -3.858
Yb 1.501 3.001 7.174
O 3.001 1.410 7.922
Cr 1.372 3.001 -0.924
```


(1)
TiBe2Rh2 after structural relaxation. Source: the Alexandria database, functional PBE-GGA.

```
TiBe2Rh2
1.0
6.648 0.000 0.000
0.000 6.648 0.000
0.000 0.000 2.794
Ti Be Rh
2 4 4
direct
0.000 0.000 0.000
0.500 0.500 0.000
0.140 0.360 0.500
0.360 0.860 0.500
0.640 0.140 0.500
0.860 0.640 0.500
0.153 0.653 0.000
0.347 0.153 0.000
0.653 0.847 0.000
0.847 0.347 0.000
```

Results
The formation energy comes out at -2.711 eV per formula unit. The calculation puts the relative energy among the computed polymorphs at 0.114 eV per atom. Its space-group type is P4/mbm (127). The total magnetization comes out at 0.0 μB/f.u.



(2)
TiBe2Rh2 after structural relaxation. Source: the Alexandria database, functional PBE-GGA.

```
TiBe2Rh2
1.0
6.512 0.000 0.000
0.000 6.512 0.000
0.000 0.000 2.810
Ti Be Rh
2 4 4
direct
0.000 0.000 0.000
0.500 0.500 0.000
0.118 0.382 0.000
0.382 0.882 0.000
0.618 0.118 0.000
0.882 0.618 0.000
0.174 0.674 0.500
0.326 0.174 0.500
0.674 0.826 0.500
0.826 0.326 0.500
```

Results
The formation energy comes out at -3.281 eV per formula unit. The calculation puts the relative energy among the computed polymorphs at 0.000 eV per atom. Its space-group type is P4/mbm (127). The total magnetization comes out at 0.0 μB/f.u.


1.
The following is a DFT calculation (GGA-PBE) of an optimized crystal structure of PmEuYTm.

The value obtained for the formation enthalpy at 0 K is 0.59 eV per formula unit. For the electronic total energy, the calculation gives -6.3438 eV/atom.

The space group is F-43m (No. 216) and the conventional cell measures 8.155, 8.155 and 8.155 Å, with angles of 90.00, 90.00 and 90.00 degrees. The distinct sites, in fractional coordinates, are Pm at (0.000, 0.000, 0.000), Eu at (0.000, 0.000, 0.500), Y at (0.250, 0.250, 0.250) and Tm at (0.250, 0.250, 0.750).


2.
The following is a DFT calculation (GGA-PBE) of an optimized crystal structure of Al3CoBr.

Its energy relative to the elements, uncorrected is -0.1382 eV/atom. For the electronic total energy, the calculation gives -4.1395 eV/atom. The calculation puts the distance to the lowest polymorph of the same formula at 0 meV/atom.

The space group is Pm-3m (No. 221) and the conventional cell measures 4.629, 4.629 and 4.629 Å, with angles of 90.00, 90.00 and 90.00 degrees. The distinct sites, in fractional coordinates, are Al at (0.000, 0.000, 0.500), Co at (0.000, 0.000, 0.000) and Br at (0.500, 0.500, 0.500).